A California Community Shoots for the Moon: Palo Alto Considers Carbon Neutrality
In 1961, President Kennedy presented the challenge to land an American on the Moon in 10 years or less. This seemingly impossible goal unlocked a national spirit of ingenuity and became a reality just eight years later in 1969 when Neil Armstrong made his famous “giant leap for mankind.”
Records of crystals, as found in the file:
/*
## Pm7PtSe5 (PBE)

Data for an optimized crystal structure of Pm7PtSe5.

Values from the calculation:
- Formation energy from raw total energies: -1.582 eV per atom
- Space-group type: Cmcm (63)

```
Pm7PtSe5
1.0
4.067 0.000 0.000
-2.034 6.938 0.008
0.000 -0.030 25.066
Se Pm Pt
10 14 2
Direct
0.000 0.001 0.000
0.556 0.112 0.145
0.722 0.445 0.929
0.445 0.890 0.855
0.278 0.557 0.071
0.556 0.111 0.355
0.445 0.890 0.645
0.278 0.557 0.429
0.000 0.000 0.500
0.722 0.444 0.571
0.639 0.278 0.038
0.798 0.595 0.820
0.085 0.171 0.610
0.457 0.913 0.250
0.203 0.406 0.320
0.915 0.830 0.390
0.544 0.088 0.750
0.362 0.724 0.962
0.086 0.171 0.890
0.203 0.406 0.180
0.797 0.595 0.680
0.915 0.830 0.110
0.639 0.277 0.462
0.362 0.724 0.538
0.195 0.391 0.750
0.805 0.610 0.250
```



## DyCCl (PBE)

Data for an optimized crystal structure of DyCCl.

Values from the calculation:
- Formation energy from raw total energies: -0.936 eV per atom
- Space-group type: P2_1/m (11)

```
DyCCl
1.0
-0.708 1.871 3.422
4.115 -4.932 3.549
6.587 14.089 -6.342
Dy C Cl
6 6 6
Direct
0.250 0.125 0.461
0.750 0.875 0.539
0.250 0.508 0.316
0.750 0.319 0.058
0.250 0.681 0.942
0.750 0.492 0.684
0.250 0.056 0.067
0.250 0.255 0.128
0.750 0.745 0.872
0.750 0.944 0.933
0.750 0.200 0.546
0.250 0.800 0.454
0.750 0.708 0.067
0.250 0.339 0.748
0.750 0.661 0.252
0.250 0.292 0.933
0.750 0.274 0.339
0.250 0.726 0.661
```



## RbDyCuCl5 (PBE)

Data for an optimized crystal structure of RbDyCuCl5.

Values from the calculation:
- Formation energy from raw total energies: -1.747 eV per atom
- Space-group type: C2/c (15)

```
RbDyCuCl5
1.0
-4.543 3.228 -4.915
-4.172 -1.760 5.892
5.649 7.591 3.310
Cl Rb Dy Cu
10 2 2 2
Direct
0.074 0.926 0.250
0.696 0.102 0.393
0.624 0.765 0.920
0.765 0.624 0.420
0.376 0.235 0.080
0.304 0.898 0.607
0.235 0.376 0.580
0.102 0.696 0.893
0.898 0.304 0.107
0.926 0.074 0.750
0.653 0.347 0.750
0.347 0.653 0.250
0.000 0.000 0.000
0.000 0.000 0.500
0.691 0.309 0.250
0.309 0.691 0.750
```



## Hf3TiN (PBE)

Data for an optimized crystal structure of Hf3TiN.

Values from the calculation:
- Formation energy from raw total energies: 1.870 eV per atom
- E above lowest polymorph: 2.585 eV/atom
- Space-group type: Pm-3m (221)

```
Hf3TiN
1.0
4.838 0.000 0.000
0.000 4.838 0.000
0.000 0.000 4.838
Hf N Ti
3 1 1
Direct
0.000 0.000 0.500
0.000 0.500 0.000
0.500 0.000 0.000
0.500 0.500 0.500
0.000 0.000 0.000
```



## TmPu2Bi3 (PBE)

Data for an optimized crystal structure of TmPu2Bi3.

Values from the calculation:
- Space-group type: Fddd (70)
- DFT formation energy: -0.47 eV per atom

```
TmPu2Bi3
1.0
7.676 0.036 -1.421
-2.936 7.093 -1.421
-0.017 -0.026 14.220
Tm Bi Pu
4 12 8
Direct
0.083 0.083 0.167
0.167 0.667 0.333
0.333 0.833 0.667
0.917 0.917 0.833
0.755 0.755 0.000
0.084 0.080 0.668
0.005 0.505 0.500
0.665 0.162 0.832
0.585 0.588 0.668
0.330 0.834 0.168
0.166 0.670 0.832
0.245 0.245 0.000
0.920 0.916 0.332
0.838 0.335 0.168
0.412 0.415 0.332
0.495 0.995 0.500
0.251 0.251 0.501
*/
So much for the records of crystals:
Big Ideas
Palo Alto (pop. 66,000), the heart of Silicon Valley and regional birthplace of Google, is eyeing today’s version of reaching the moon—becoming the first carbon-neutral city in the United States. As part of the City’s update to its Sustainability & Climate Action Plan (SCAP), several community-wide greenhouse gas (GHG) emissions reduction scenarios are being analyzed by a project team. One possible scenario is carbon neutrality for the entire Palo Alto community (scope 1 and 2 community-scale emissions). Rocky Mountain Institute (RMI) is acting as an implementation advisor and expert assistant to the City of Palo Alto, helping to develop the SCAP along with the City’s lead consultant and contractor, DNV GL, and working with the City until the plan is released in early 2015 and goes before City Council.
This Bay Area community took a big sustainability leap in 2013 when Palo Alto Utilities (the city-owned municipal utility) provided the city with 100 percent carbon-neutral electricity, a first for a U.S. city. About 40 percent of Palo Alto’s electricity comes from hydropower and 20 percent from other renewables; the City currently offsets the remaining 40 percent of fossil fuel power with renewable energy certificates (RECs). But going further, Palo Alto is now seeking to replace those RECs by 2017 with renewable energy power purchase agreements (PPAs), thus making its electricity supply essentially carbon free. Some might assume that Palo Alto’s now carbon-neutral (and soon to be all-renewable) electricity prices would be prohibitively expensive, or that the community’s well-above-average household income would easily pay for such incremental “green” cost. However, the evidence, at least to date, points to the contrary; residential electricity prices in Palo Alto are 23 percent below the California average.
Big Issues
The City and community have continued to show leadership and commitment by already surpassing California’s AB-32 requirement to reduce GHG emissions to 1990 levels by 2020. Yet, although Palo Alto’s carbon-neutral electricity supply is a noteworthy achievement, greenhouse gas (GHG) emissions from electricity accounted for just 18 percent of total emissions when the City began purchasing RECs. As the graph from the City’s recent Earth Day report shows, significant reductions from Palo Alto’s other sources of GHG emissions will be required not just to reach the California Moonshot goal of carbon-neutrality by 2025, but also for the City to achieve other scenarios such as 80 percent emissions reductions by 2030 or by 2050, both of which are also being contemplated.
Transportation to, from, and within Palo Alto accounted for 59 percent of 2013 GHG emissions and therefore represents the largest piece of the (post-RECs) GHG emissions pie. This will be a challenging number to reduce, especially given that more than 1 in 10 people commute by bike over 50 percent of the time, and that so far electric vehicle adoption has captured just 2 percent of the market in this hometown of Tesla Motors. Natural gas accounts for 29 percent of emissions, with a fairly even split between residential and commercial buildings, another challenging emissions category because solutions will likely require individuals taking uncommon actions such as fuel switching from natural gas appliances to electricity in their homes and businesses. The remaining 12 percent is a combination of wastewater processing and landfilled waste.
Nevertheless, a community with smart, innovation-minded people isn’t likely to accept half-measures in taking on one of the greatest energy and environmental challenges of our time. That’s precisely why the community is thinking about those next steps around ambitious community-wide GHG reductions. Because one or two of these emission domains are stubborn, a paradigm shift coupled with some creative, bold action will be required for the City and community to achieve their goals.
# Misplaced records of crystals
<<<
This record from the Alexandria database describes a geometry-optimized SmGaGe2 structure. The functional is PBE-GGA.

SG: R-3m (166)
Polymorph energy (0 for the lowest one) in eV per formula unit: 0.57
E_form in meV/atom: -325
Theoretical density in g/cm3: 6.957
E_tot in Ry/atom: -0.33593
Total magnetization in μB/atom: 0.000

Cell and atoms, written as POSCAR:
```
SmGaGe2
1.0
-3.311 -1.662 -2.581
-2.511 -3.444 1.489
-5.121 1.492 1.660
Ge Sm Ga
2 1 1
Direct
0.716 0.716 0.853
0.284 0.284 0.147
0.500 0.500 0.500
0.000 0.000 0.000
```

----------

YAsSCl2: relaxed, PBE-GGA.

a = 4.9036 Å, b = 4.9036 Å, c = 5.1324 Å
α = 90.00°, β = 90.00°, γ = 90.00°
Last column: nearest neighbours and their distance in Å.
Positions (direct):
Y (0.0000, 0.0000, 0.0000)  4 S 3.47, 8 Cl 3.55
As (0.5000, 0.5000, 0.5000)  4 Cl 2.45, 2 S 2.57
S (0.5000, 0.5000, 0.0000)  2 As 2.57
Cl (0.0000, 0.5000, 0.5000)  2 As 2.45
Cl (0.5000, 0.0000, 0.5000)  2 As 2.45

Output
As for the space group: P4/mmm (123). The value obtained for the density is 3.59 Mg/m³. The calculation puts the formation energy (no corrections) at -0.315 eV per atom. As for the energy above the lowest structure with this stoichiometry: 0.5044 eV per atom.


ScInSnI6: relaxed, PBE-GGA.

a = 7.8718 Å, b = 7.8718 Å, c = 7.4615 Å
α = 90.00°, β = 90.00°, γ = 120.00°
Last column: nearest neighbours and their distance in Å.
Positions (direct):
Sc (0.0000, 0.0000, 0.0000)  6 I 2.91
In (0.3333, 0.6667, 0.5000)  6 I 3.49
Sn (0.6667, 0.3333, 0.0000)  6 I 3.18
I (0.3069, 0.0150, 0.2292)  1 Sc 2.91, 1 Sn 3.18
I (0.3069, 0.2920, 0.7708)  1 Sc 2.91, 1 Sn 3.18
I (0.7080, 0.0150, 0.7708)  1 Sc 2.91, 1 Sn 3.18
I (0.7080, 0.6931, 0.2292)  1 Sc 2.91, 1 Sn 3.18
I (0.9850, 0.2920, 0.2292)  1 Sc 2.91, 1 Sn 3.18
I (0.9850, 0.6931, 0.7708)  1 Sc 2.91, 1 Sn 3.18

Output
As for the space group: P312 (149). The value obtained for the density is 4.31 Mg/m³. The calculation puts the formation energy (no corrections) at -0.813 eV per atom.


TlFeTc4: relaxed, PBE-GGA.

a = 5.1842 Å, b = 5.1842 Å, c = 5.1842 Å
α = 60.00°, β = 60.00°, γ = 60.00°
Last column: nearest neighbours and their distance in Å.
Positions (direct):
Tl (0.0000, 0.0000, 0.0000)  12 Tc 3.04, 4 Fe 3.17
Fe (0.2500, 0.2500, 0.2500)  12 Tc 3.04, 4 Tl 3.17
Tc (0.1260, 0.6247, 0.6247)  6 Tc 2.59-2.60
Tc (0.6247, 0.1260, 0.6247)  6 Tc 2.59-2.60
Tc (0.6247, 0.6247, 0.1260)  6 Tc 2.59-2.60
Tc (0.6247, 0.6247, 0.6247)  6 Tc 2.59-2.60

Output
The calculated formation energy comes out at 3.7 eV per formula unit. As for the space group: F-43m (216). The value obtained for the density is 10.99 Mg/m³.


KCuI2: relaxed, PBE-GGA.

a = 5.6001 Å, b = 5.6001 Å, c = 24.0489 Å
α = 90.00°, β = 90.00°, γ = 120.00°
Last column: nearest neighbours and their distance in Å.
Positions (direct):
K (0.0000, 0.0000, 0.0000)  6 I 3.61
K (0.3333, 0.6667, 0.6667)  6 I 3.61
K (0.6667, 0.3333, 0.3333)  6 I 3.61
Cu (0.0000, 0.0000, 0.5000)  2 I 2.41
Cu (0.3333, 0.6667, 0.1667)  2 I 2.41
>>>
# End of the records of crystals
Big Challenge
In order to land an American on the Moon in less than a decade, NASA made two remarkable organizational innovations. First, it held a victory celebration on day one of the Apollo mission—imagining that the mission was accomplished—and then reverse engineered this “impossible” feat from the future to the present to determine what was needed to enable the mission to succeed. Second, it submitted design specifications for what was needed to resolve those technological challenges, which then led to answers to those seeming impossibilities.
With this spirit in mind, and led by the City’s Chief Sustainability Officer Gil Friend (a bit of a sustainability astronaut in his own right), RMI convened an ideation charrette on October 1, 2014 at the Palo Alto Art Center with local leadership and stakeholders to imagine that carbon-neutrality was achieved in 2025. We then all plotted ideas and potential strategies that enabled the “impossible” future to happen. Participants included City and utility personnel, Stanford University faculty, Silicon Valley financiers, sustainability leaders, and myriad other experts and community leaders, all of whom provided a war chest of great implementation strategies to jumpstart their new, updated SCAP.
Emphasis was placed on how to reduce vehicle miles traveled (VMTs) while increasing alternative transportation modes, how to increase electric vehicle adoption, and how to phase out and/or drive deeper natural gas efficiency with resulting implications for the electricity grid. Breakout groups developed implementation plans for the most promising strategies in each of these domains. One group also addressed the water-energy nexus given the region’s drought and ongoing supply concerns. There was even a wildcard section for everything else you can think of, and then some. Proposed solutions fell into two broad categories, with some of the solutions currently being incubated:
- The targeted, aggressive use of traditional City, utility, and other levers such as incentives, rates, codes, etc., along with innovative community engagement and creative financing methods.
(Misplaced calculated crystals)
-- begin --
Here is a relaxed ErAlPd crystal from the Alexandria database. Energies are from GGA-PBEsol.

## Properties
DFT total energy = -5.894 eV per atom
D(E_F) = 1.27 states/eV/f.u.

Unit cell a=4.356 b=6.775 c=7.673 alpha=90.00 beta=90.00 gamma=90.00
Atoms (fractional coordinates):
Al  0.750  0.856  0.938
Al  0.750  0.356  0.562
Al  0.250  0.144  0.062
Al  0.250  0.644  0.438
Pd  0.750  0.731  0.618
Pd  0.750  0.231  0.882
Pd  0.250  0.269  0.382
Pd  0.250  0.769  0.118
Er  0.750  0.968  0.320
Er  0.750  0.468  0.180
Er  0.250  0.032  0.680
Er  0.250  0.532  0.820

~~~~~

[1]
8
Lattice="3.637 0.000 0.000 0.000 6.876 0.110 0.000 -2.063 6.560" Properties=species:S:1:pos:R:3 comment="Na3TiS4 PBE optimized geometry" m_tot_mub_per_fu=0.3 total_energy_ev_per_atom=-4.58 n_ef_per_ev_atom=0.940 raw_formation_energy_ev_per_atom=-1.030 space_group="No. 65" pbc="T T T"
Na 0.000 3.438 0.055
S 1.818 -0.102 5.146
S 0.000 3.819 5.293
Na 1.818 2.407 3.335
Ti 1.818 0.000 0.000
S 0.000 0.994 1.378
S 1.818 4.916 1.525
Na 0.000 -1.032 3.280

=====

[2]
5
Lattice="4.733 0.000 0.000 0.000 4.733 0.000 0.000 0.000 4.733" Properties=species:S:1:pos:R:3 comment="Pd3RhW PBE optimized geometry" m_tot_mub_per_fu=0.0 polymorph_energy_mev_per_atom=0 total_energy_ev_per_atom=-5.72 formation_energy_ev_per_atom=1.452 n_ef_per_ev_atom=1.297 space_group="No. 221" pbc="T T T"
Pd 2.367 0.000 0.000
Pd 0.000 0.000 2.367
Rh 2.367 2.367 2.367
W 0.000 0.000 0.000
Pd 0.000 2.367 0.000

=====

[3]
4
Lattice="1.531 1.183 -2.817 -2.828 -1.800 -0.664 -5.278 8.096 0.532" Properties=species:S:1:pos:R:3 comment="HgTe2P PBE optimized geometry" m_tot_mub_per_fu=0.0 polymorph_energy_mev_per_atom=281 total_energy_ev_per_atom=-2.59 n_ef_per_ev_atom=0.587 raw_formation_energy_ev_per_atom=0.407 space_group="No. 35" pbc="T T T"
Hg -2.464 3.780 0.249
Te -4.499 5.598 -1.352
P -1.956 1.697 -1.609
Te -0.295 0.453 0.030

=====

[4]
12
Lattice="4.225 0.000 0.000 0.000 4.402 0.000 -2.113 -2.202 9.681" Properties=species:S:1:pos:R:3 comment="BaPu2Zn2O7 PBE optimized geometry" m_tot_mub_per_fu=7.9 total_energy_ev_per_atom=-8.00 n_ef_per_ev_atom=0.681 raw_formation_energy_ev_per_atom=-2.346 space_group="No. 44" pbc="T T T"
Ba 0.000 4.400 0.000
O 2.112 -0.001 7.732
O 2.113 2.205 0.000
O 0.000 0.000 5.084
O 2.112 0.000 2.367
O 2.113 2.201 4.596
Zn 2.113 0.000 4.484
Pu 0.000 -0.001 7.464
Zn 0.000 2.200 5.197
Pu 2.112 2.201 2.217
O 0.000 2.200 1.950
O 0.000 2.200 7.314

=====

[5]
10
Lattice="6.035 0.000 0.000 0.000 6.035 0.000 0.000 0.000 5.011" Properties=species:S:1:pos:R:3 comment="Ag2Hg2H PBE optimized geometry" m_tot_mub_per_fu=0.0 polymorph_energy_mev_per_atom=175 total_energy_ev_per_atom=-1.55 n_ef_per_ev_atom=0.289 space_group="No. 127" pbc="T T T"
Hg 1.047 1.970 0.000
Hg 1.970 4.988 0.000
Ag 0.983 4.000 2.505
H 0.000 0.000 0.000
Ag 4.000 5.053 2.505
Hg 4.988 4.065 0.000
H 3.018 3.018 0.000
Ag 5.053 2.035 2.505
Ag 2.035 0.983 2.505
Hg 4.065 1.047 0.000

=====

[6]
4
-- stop --
- Providing a scalable platform for open information and standardized data exchange—especially around multimodal transit—thus enabling coordinated and informed action by independent entrepreneurs, policy makers, and individuals.
RMI’s work continues with the City, DNV, the private sector, and the community of Palo Alto to accelerate implementation of the most promising and cost-effective ideas, especially around transportation. We hope that this exciting collaboration will result in Palo Alto reaching the moon and providing for themselves—and the world—a compelling model of climate success at the City and community level.
Image courtesy of Shutterstock.